The One Thing You Can Do To Stop Getting Cavities And Gum Disease
This post would get a mile long if I tried to list all the reasons why people do or don’t do certain things. But I do know this: when we are presented with a challenge, we all want the easiest solution. If a problem is too complex, the solution can also be too complex to execute. H. L. Menken once said, “For every complex problem there is an answer that is clear, simple, and wrong”. Humorously stated, and true some, or even most of the time. I will try to avoid this mistake in today’s post.
To counter Menken( who was a satirist) I would like to discuss William of Occam. His principle is called Occam’s Razor and states that when looking for an answer to a problem, “one should not make more assumptions than the minimum needed”. Put another way, he is guiding us to disregard the variables that are not needed to explain a phenomenon. The example of getting from point A to point B is a perfect illustration. The best answer is a straight line. However, there are infinite meandering ways to go from A to B. Designing a model to predict all the ways would be impossible.
“One Should not make more assumptions than the minimum needed”
(Inserted here: quantum chemistry results)
<<<
{
  "formula": "C12H19Cl3O8",
  "method": "ωB97M-V/def2-TZVPD",
  "smiles": "OC[C@H]1O[C@H](O[C@]2(CCl)O[C@H](CCl)[C@@H](O)[C@@H]2O)[C@H](O)[C@@H](O)[C@H]1Cl",
  "energy_ha": -2451.16062,
  "de_lowest_kcal_mol": 0.0,
  "orbital_gap_ev": 10.4293,
  "charge": 0,
  "e_lumo_ev": 0.4,
  "species": ["O", "C", "H", "C", "C", "C", "O", "H", "C", "O", "H", "C", "O", "H", "O", "C", "O", "C", "C", "Cl", "H", "H", "C", "O", "H", "C", "O", "H", "H", "H", "H", "C", "Cl", "H", "H", "H", "H", "H", "Cl", "H", "H", "H"],
  "positions_angstrom": [[-1.02482, 1.63623, 2.40456], [-0.55181, 2.55025, 1.44709], [0.09472, 3.30504, 1.91559], [0.26089, 1.77556, 0.40679], [1.19158, 2.67538, -0.40196], [1.86565, 1.88493, -1.53224], [2.74086, 2.66828, -2.28284], [2.23763, 3.36656, -2.72397], [0.77893, 1.20072, -2.38663], [1.31074, 0.43706, -3.42518], [1.89266, -0.23107, -3.04257], [-0.09428, 0.34104, -1.44485], [-0.67189, 1.11190, -0.43579], [-0.93952, -0.09519, -1.99153], [0.75496, -0.67005, -0.96045], [0.17642, -1.87065, -0.43328], [-1.21151, -1.87429, -0.48173], [-1.79837, -1.84356, 0.81665], [-2.86899, -0.76229, 0.85105], [-3.57980, -0.70376, 2.46960], [-3.66740, -0.98278, 0.14296], [-2.42512, 0.21016, 0.63878], [-0.66220, -1.60540, 1.83245], [-0.78956, -2.40106, 2.97560], [-1.51077, -2.04988, 3.51334], [0.59958, -2.00535, 1.06084], [1.65972, -1.16258, 1.40192], [2.47159, -1.48600, 0.99682], [0.82503, -3.05409, 1.29420], [-0.59183, -0.54206, 2.09068], [-2.24530, -2.83036, 1.01015], [0.71915, -2.98890, -1.33660], [0.18425, -4.57374, -0.76859], [0.33241, -2.84688, -2.34587], [1.80869, -2.97378, -1.34202], [0.14488, 1.95638, -2.86219], [2.48657, 1.10512, -1.07397], [1.94888, 3.12845, 0.24168], [0.27368, 4.03398, -1.11652], [0.87865, 1.02839, 0.92779], [-1.38335, 3.05220, 0.93766], [-1.62158, 2.08610, 3.01259]]
}


{
  "formula": "C3H6O4",
  "method": "ωB97M-V/def2-TZVPD",
  "smiles": "COC(O)(O)C=O",
  "energy_ha": -418.83550,
  "de_lowest_kcal_mol": 36.9,
  "orbital_gap_ev": 10.5714,
  "charge": 0,
  "e_lumo_ev": 0.7,
  "species": ["C", "C", "C", "O", "O", "O", "O", "H", "H", "H", "H", "H", "H"],
  "positions_angstrom": [[0.70504, 0.28372, -0.30369], [-1.05401, -1.28333, 0.54955], [-0.30519, 1.40020, -0.04948], [0.15418, -0.58796, 0.79819], [0.60244, -0.25049, -1.54754], [1.96449, 0.65445, 0.02334], [0.01045, 2.34258, 0.63855], [1.37790, -0.80889, -1.70239], [1.87456, 1.34727, 0.71662], [-1.23815, 1.33344, -0.62964], [-1.01269, -2.18921, 1.15493], [-1.91819, -0.68453, 0.85574], [-1.16082, -1.55724, -0.50419]]
}


{
  "formula": "F2H2S2Si",
  "method": "ωB97M-V/def2-TZVPD",
  "energy_ha": -1286.87496,
  "de_lowest_kcal_mol": 67.0,
  "orbital_gap_ev": 10.1406,
  "charge": 0,
  "e_lumo_ev": -0.5,
  "species": ["F", "F", "Si", "S", "S", "H", "H"],
>>>
Minimal effective dose is the idea that there exists the smallest dose that produces all (or most of) the desired outcome. Take boiling water for instance. Water boils at 100 degrees Celsius. Any less, and it will not boil, any more, and it will not boil more than it already is. Painting a wall is a better example. One coat may get 85% of the desired result. Two coats may get 99%. You must decide if the third coat is even worth placing. Certainly, after the third coat, you now have 100% coverage, and applying more coats will have no effect on the color of the wall. It may even detract as drips and smudges accumulate.
Wheat Belly by Dr. William Davis is a great book that was the result of trying to simplify heart disease prevention. As a practicing cardiologist, Dr. Davis noticed that all the recommendations he gave to his patients to prevent heart disease were just not working. Sometimes because the recommendations were wrong, but often because they were too complex. Using Occam’s Razor, he was able to eliminate many steps. Using the principle of minimal effective dose he was able to further reduce his recommendations and came up with the idea of just giving up wheat to make you healthier and prevent heart disease. His results were startling. Incidentally, Grain Brain by Dr. David Perlmutter is similar and addresses the benefits to brain health by giving up grains in the diet.
It is important to stress that there are many more things patients can and should do to prevent heart disease and neurological decline. Dr. Davis and Dr. Perlmutter are not suggesting that the common recommendations are all useless. On the contrary, once patients have mastered the elimination of wheat and grains, it is important to try to add the other preventive elements.
Dentistry is no different than cardiology and neurology when it comes to offering preventive advice. I would hope that people cared enough to do everything possible to stay away from getting cavities and gum disease. This is just not the case. Most of my patients don’t floss. I don’t judge them for it. We all have differing priorities, levels of free time, things that distract us and let’s face it, things we will never really care much about. That does not stop me from trying to motivate them.
When patients get diagnosed with a cavity or gum disease, I take it as my duty to find out why so that in the future, it won’t happen again. They are typically thankful that I took the time to root out the causative agents of their disease. What the patient does with this new knowledge varies. Many times preventive routines are just too difficult, complex or just not of interest to patients.
Applying Occam’s Razor and the principle of Minimal Effective Dose, I have come up with a similar recommendation. I am going out on a professional limb and suggesting that if you put a gun to my head and asked me the single most important thing to do to eliminate oral disease, I would have to say: Give up processed carbohydrates for a cavity free mouth. I would like to state for the record that you should still brush and floss and go for cleanings every six months. I will not waste any time explaining the science behind this. You can read about why in my previous posts about tooth decay and gum disease here and here. Maybe I will write a book and call it “Carb Mouth”.
Change is difficult for many, even if it means only changing one thing. Especially if it is a big thing. Almost 60% of our diets are processed foods. (1)The reasons are many. They are tastey, cheap, and convenient for starters. Most people already know that processed foods are not healthy. In light of this fact, giving these foods up is really a behavioral issue.I recommend reading my post three easy ways to trigger positive changes in your life to help you change your behavior. Once you have changed this one thing, you will have eliminated the one major cause of tooth decay and gum disease and should be ready to add the next change. Giving up smoking is another great way to go. Read about it in my previous post here. Giving up sipping lemon infused water all day is also a great idea. I could go on and on, but Occam is tapping me on the shoulder and its time to hush up for now.